'''
Entry 1:
The following is a quantum chemistry calculation of an isolated ion of composition C18H22N and charge +1, from the Open Molecules 2025 dataset.

Computed properties:
- Total charge: +1
- LUMO energy: -2.5 eV
- Multiplicity: 1
- E_HOMO: -11.839 eV
- Frontier orbital gap: 0.3444 Ha

Atoms and positions in Å:
C: 0.184 4.132 -0.961
C: 3.841 -2.133 -0.434
C: -0.452 3.864 0.233
C: 3.230 -2.380 0.796
C: 0.855 3.069 -1.641
C: 3.378 -1.070 -1.223
C: -0.436 2.555 0.748
C: 2.030 -1.712 1.129
C: 0.882 1.752 -1.141
C: 2.242 -0.331 -0.860
C: 0.185 1.472 0.047
C: 1.561 -0.659 0.309
C: 1.670 0.685 -1.828
C: 0.228 0.065 0.587
C: -2.765 0.261 0.977
C: -3.039 -1.700 -0.379
C: -1.896 -1.888 1.691
C: -0.823 -0.770 -0.150
N: -2.128 -1.017 0.557
H: 0.204 5.130 -1.359
H: 4.667 -2.735 -0.777
H: -0.957 4.643 0.793
H: 3.612 -3.148 1.452
H: 1.373 3.252 -2.591
H: 3.921 -0.851 -2.137
H: -0.875 2.393 1.730
H: 1.412 -1.927 1.983
H: 1.001 0.152 -2.486
H: 2.421 1.061 -2.485
H: -0.002 0.089 1.649
H: -3.043 0.859 0.107
H: -3.648 0.052 1.563
H: -2.078 0.869 1.554
H: -3.321 -1.040 -1.162
H: -2.533 -2.581 -0.822
H: -3.960 -2.027 0.132
H: -1.227 -1.368 2.377
H: -2.835 -2.127 2.155
H: -1.460 -2.820 1.382
H: -0.998 -0.300 -1.149
H: -0.422 -1.771 -0.366

Cartesian forces, eV/Å:
C 0.8 -1.6 -0.9
C -0.5 1.0 0.2
C 0.0 -1.0 0.5
C -1.3 0.0 -0.1
C -0.4 0.4 0.4
C 0.0 -0.6 0.4
C 0.6 -0.5 -0.8
C 0.6 1.1 -1.1
C -0.4 1.5 0.3
C 0.4 -0.4 -0.4
C 0.3 1.8 0.6
C 0.3 -0.1 0.3
C -0.4 -0.5 0.8
C 0.1 -0.3 -0.2
C -0.1 0.6 0.0
C -0.5 -1.5 -0.2
C 0.5 -0.1 1.2
C 0.3 -0.5 -1.4
N -0.2 0.8 -1.1
H 0.0 0.2 -0.2
H 0.2 0.1 0.1
H 0.1 0.0 -0.1
H 0.0 -0.1 0.0
H -0.2 0.1 0.5
H -0.2 0.1 0.0
H 0.1 0.0 -0.1
H 0.3 -0.4 0.5
H -0.4 -0.4 -0.4
H 0.6 0.5 -0.3
H 0.3 -0.1 0.2
H 0.1 -0.3 -0.1
H -0.2 -0.2 0.1
H 0.0 -0.3 0.1
H -0.1 0.6 -0.7
H -0.2 0.5 0.4
H 0.5 0.2 0.0
H -0.2 -0.3 0.1
H -0.4 0.1 0.4
H 0.4 -0.3 -0.3
H -0.4 -0.3 0.9
H -0.2 0.2 0.2


Entry 2:
The following is a quantum chemistry calculation of C40H59AsBr2N6OPPtSSi2 as an isolated structure, from the Open Molecules 2025 dataset.

Computed properties:
- Total charge: +1
- LUMO energy (alpha / beta): -2.5 / -2.5 eV
- Multiplicity: 1
- E_HOMO (alpha / beta): -7.200 / -7.207 eV
- Frontier orbital gap (alpha / beta): 0.1738 / 0.1741 Ha

Atoms and positions in Å:
Pt: -1.570 -0.122 1.076
Br: -6.527 -2.980 4.856
C: -5.153 -2.276 3.759
C: -3.854 -2.782 3.875
C: -2.892 -2.213 3.074
N: -3.136 -1.235 2.199
C: -4.389 -0.734 2.094
C: -5.426 -1.260 2.883
C: -4.572 0.403 1.216
C: -5.833 0.841 0.781
C: -5.920 1.963 -0.003
Br: -7.606 2.566 -0.626
C: -4.768 2.667 -0.360
C: -3.565 2.156 0.075
N: -3.451 1.058 0.823
H: -3.627 -3.569 4.577
H: -1.861 -2.545 3.125
H: -6.421 -0.841 2.830
H: -6.726 0.290 1.038
H: -4.832 3.569 -0.950
H: -2.636 2.647 -0.190
O: -0.561 0.716 -1.037
P: -0.677 0.347 -2.484
N: -2.053 -0.475 -2.871
C: -2.303 -0.920 -4.251
C: -3.623 -1.687 -4.167
C: -3.620 -2.222 -2.734
C: -3.052 -1.040 -1.959
N: -0.687 1.589 -3.598
C: 0.488 2.475 -3.683
C: -0.053 3.864 -3.358
C: -1.448 3.821 -3.978
C: -1.921 2.406 -3.649
N: 0.687 -0.529 -2.907
C: 1.226 -0.618 -4.277
C: 1.353 -2.114 -4.558
C: 1.677 -2.672 -3.171
C: 0.748 -1.864 -2.271
H: -1.496 -1.575 -4.597
H: -2.360 -0.071 -4.936
H: -3.689 -2.469 -4.922
H: -4.467 -1.008 -4.305
H: -2.972 -3.097 -2.653
H: -4.615 -2.496 -2.384
H: -2.609 -1.314 -0.999
H: -3.854 -0.317 -1.782
H: 0.884 2.456 -4.704
H: 1.272 2.144 -3.000
H: 0.574 4.659 -3.760
H: -0.142 3.987 -2.279
H: -1.382 3.956 -5.059
H: -2.119 4.576 -3.575
H: -2.606 2.020 -4.407
H: -2.440 2.377 -2.687
H: 2.217 -0.152 -4.297
H: 0.592 -0.094 -4.992
H: 2.119 -2.326 -5.302
H: 0.405 -2.520 -4.915
H: 2.723 -2.465 -2.933
H: 1.502 -3.743 -3.089
H: 1.097 -1.784 -1.240
H: -0.247 -2.327 -2.246
N: 1.923 0.444 1.552
S: 2.282 0.132 -0.051
C: 2.872 1.761 -0.524
C: 2.118 2.879 -0.193
C: 2.575 4.133 -0.565
C: 3.747 4.267 -1.294
C: 4.451 3.138 -1.687
C: 4.012 1.879 -1.312
C: 3.843 -0.714 0.088
C: 4.845 -0.231 0.924
C: 6.050 -0.904 0.992
C: 6.252 -2.058 0.241
C: 5.242 -2.540 -0.579
'''
Retype the whole of the block further up exactly.
Entry 1:
The following is a quantum chemistry calculation of an isolated ion of composition C18H22N and charge +1, from the Open Molecules 2025 dataset.

Computed properties:
- Total charge: +1
- LUMO energy: -2.5 eV
- Multiplicity: 1
- E_HOMO: -11.839 eV
- Frontier orbital gap: 0.3444 Ha

Atoms and positions in Å:
C: 0.184 4.132 -0.961
C: 3.841 -2.133 -0.434
C: -0.452 3.864 0.233
C: 3.230 -2.380 0.796
C: 0.855 3.069 -1.641
C: 3.378 -1.070 -1.223
C: -0.436 2.555 0.748
C: 2.030 -1.712 1.129
C: 0.882 1.752 -1.141
C: 2.242 -0.331 -0.860
C: 0.185 1.472 0.047
C: 1.561 -0.659 0.309
C: 1.670 0.685 -1.828
C: 0.228 0.065 0.587
C: -2.765 0.261 0.977
C: -3.039 -1.700 -0.379
C: -1.896 -1.888 1.691
C: -0.823 -0.770 -0.150
N: -2.128 -1.017 0.557
H: 0.204 5.130 -1.359
H: 4.667 -2.735 -0.777
H: -0.957 4.643 0.793
H: 3.612 -3.148 1.452
H: 1.373 3.252 -2.591
H: 3.921 -0.851 -2.137
H: -0.875 2.393 1.730
H: 1.412 -1.927 1.983
H: 1.001 0.152 -2.486
H: 2.421 1.061 -2.485
H: -0.002 0.089 1.649
H: -3.043 0.859 0.107
H: -3.648 0.052 1.563
H: -2.078 0.869 1.554
H: -3.321 -1.040 -1.162
H: -2.533 -2.581 -0.822
H: -3.960 -2.027 0.132
H: -1.227 -1.368 2.377
H: -2.835 -2.127 2.155
H: -1.460 -2.820 1.382
H: -0.998 -0.300 -1.149
H: -0.422 -1.771 -0.366

Cartesian forces, eV/Å:
C 0.8 -1.6 -0.9
C -0.5 1.0 0.2
C 0.0 -1.0 0.5
C -1.3 0.0 -0.1
C -0.4 0.4 0.4
C 0.0 -0.6 0.4
C 0.6 -0.5 -0.8
C 0.6 1.1 -1.1
C -0.4 1.5 0.3
C 0.4 -0.4 -0.4
C 0.3 1.8 0.6
C 0.3 -0.1 0.3
C -0.4 -0.5 0.8
C 0.1 -0.3 -0.2
C -0.1 0.6 0.0
C -0.5 -1.5 -0.2
C 0.5 -0.1 1.2
C 0.3 -0.5 -1.4
N -0.2 0.8 -1.1
H 0.0 0.2 -0.2
H 0.2 0.1 0.1
H 0.1 0.0 -0.1
H 0.0 -0.1 0.0
H -0.2 0.1 0.5
H -0.2 0.1 0.0
H 0.1 0.0 -0.1
H 0.3 -0.4 0.5
H -0.4 -0.4 -0.4
H 0.6 0.5 -0.3
H 0.3 -0.1 0.2
H 0.1 -0.3 -0.1
H -0.2 -0.2 0.1
H 0.0 -0.3 0.1
H -0.1 0.6 -0.7
H -0.2 0.5 0.4
H 0.5 0.2 0.0
H -0.2 -0.3 0.1
H -0.4 0.1 0.4
H 0.4 -0.3 -0.3
H -0.4 -0.3 0.9
H -0.2 0.2 0.2


Entry 2:
The following is a quantum chemistry calculation of C40H59AsBr2N6OPPtSSi2 as an isolated structure, from the Open Molecules 2025 dataset.

Computed properties:
- Total charge: +1
- LUMO energy (alpha / beta): -2.5 / -2.5 eV
- Multiplicity: 1
- E_HOMO (alpha / beta): -7.200 / -7.207 eV
- Frontier orbital gap (alpha / beta): 0.1738 / 0.1741 Ha

Atoms and positions in Å:
Pt: -1.570 -0.122 1.076
Br: -6.527 -2.980 4.856
C: -5.153 -2.276 3.759
C: -3.854 -2.782 3.875
C: -2.892 -2.213 3.074
N: -3.136 -1.235 2.199
C: -4.389 -0.734 2.094
C: -5.426 -1.260 2.883
C: -4.572 0.403 1.216
C: -5.833 0.841 0.781
C: -5.920 1.963 -0.003
Br: -7.606 2.566 -0.626
C: -4.768 2.667 -0.360
C: -3.565 2.156 0.075
N: -3.451 1.058 0.823
H: -3.627 -3.569 4.577
H: -1.861 -2.545 3.125
H: -6.421 -0.841 2.830
H: -6.726 0.290 1.038
H: -4.832 3.569 -0.950
H: -2.636 2.647 -0.190
O: -0.561 0.716 -1.037
P: -0.677 0.347 -2.484
N: -2.053 -0.475 -2.871
C: -2.303 -0.920 -4.251
C: -3.623 -1.687 -4.167
C: -3.620 -2.222 -2.734
C: -3.052 -1.040 -1.959
N: -0.687 1.589 -3.598
C: 0.488 2.475 -3.683
C: -0.053 3.864 -3.358
C: -1.448 3.821 -3.978
C: -1.921 2.406 -3.649
N: 0.687 -0.529 -2.907
C: 1.226 -0.618 -4.277
C: 1.353 -2.114 -4.558
C: 1.677 -2.672 -3.171
C: 0.748 -1.864 -2.271
H: -1.496 -1.575 -4.597
H: -2.360 -0.071 -4.936
H: -3.689 -2.469 -4.922
H: -4.467 -1.008 -4.305
H: -2.972 -3.097 -2.653
H: -4.615 -2.496 -2.384
H: -2.609 -1.314 -0.999
H: -3.854 -0.317 -1.782
H: 0.884 2.456 -4.704
H: 1.272 2.144 -3.000
H: 0.574 4.659 -3.760
H: -0.142 3.987 -2.279
H: -1.382 3.956 -5.059
H: -2.119 4.576 -3.575
H: -2.606 2.020 -4.407
H: -2.440 2.377 -2.687
H: 2.217 -0.152 -4.297
H: 0.592 -0.094 -4.992
H: 2.119 -2.326 -5.302
H: 0.405 -2.520 -4.915
H: 2.723 -2.465 -2.933
H: 1.502 -3.743 -3.089
H: 1.097 -1.784 -1.240
H: -0.247 -2.327 -2.246
N: 1.923 0.444 1.552
S: 2.282 0.132 -0.051
C: 2.872 1.761 -0.524
C: 2.118 2.879 -0.193
C: 2.575 4.133 -0.565
C: 3.747 4.267 -1.294
C: 4.451 3.138 -1.687
C: 4.012 1.879 -1.312
C: 3.843 -0.714 0.088
C: 4.845 -0.231 0.924
C: 6.050 -0.904 0.992
C: 6.252 -2.058 0.241
C: 5.242 -2.540 -0.579